[4.1b] Soraka Guide - Be the star of the show!
- Good sustain
- Ok damage
- HUGE heals
- Team heals
- Brainless
- Cheap
- Technical
- Weak to burst
- Immobile out of passive
Soraka Build
Best Build Guide for Soraka
Item Build Description
Additional information on the items
I use this item load out, in this order, almost exclusively. It just provides so much sustain that in favorable matchups it's possible (highly improbable, but possible) to not leave lane until mid game.
Relic Shield = self heal and gold (sell to get last item)
Catalyst of Aeons = more self heal and mana help (upgraded before selling Relic Shield )
Riftmaker = this is where your damage ramps up assuming you're consistent with poke.
Harmonic Echo = every so often healing teammates will heal extra targets, can include self.
Ionian Boots of Lucidity = cool down
Awakened Soulstealer = cd = more heals
Upgrade catalyst to Rod of Ages for even more self heal.
Last item can be just about anything, I included some of my favorites in order of consistency of procs. My preferred pick is Rylai's Crystal Scepter as the slow makes the Equinox root easier to hit.
Finally Upgrade Ionian Boots of Lucidity with Redeeming Enchant
Boots can be built/upgraded earlier if you're ahead. This is simply the latest (and most usual points) where I personally build them. There are a few instances where other enchantments are viable but more on that in matchups section. We will be playing early game as more of a drain tank or general annoyance like a Teemo .
Soraka Runes
Best Runes for Soraka
Font of Life will heal you and your adc if you focus the same target. This will happen naturally if you position correctly.
Scorch will provide you with a bit of extra damage, but more importantly will proc Font of Life if your adc is... Preoccupied. There's also a neat interaction between it and Riftmaker that results in more damage.
Second Wind gives you some hp, always good when HP is spent on healing spells.
Preferred last rune is [transcendence] for cdr but it's not on this website. Maybe it's still too new to wild rift?
Nimbus Cloak is also viable here for the extra move speed it offers after casting. It makes early game easier, but falls off late game as most of your threats will be hyper mobile champs who can one shot you if you overstep.
Sweet Tooth decent if you're playing a tough matchup as it lets you get items faster, but highly situational.
Manaflow Band is also ok in this slot, but generally less useful as Catalyst of Aeons / Rod of Ages help your mana situation drastically.
Skill Order
How to distribute skill points
Summoner Spells
When to take which summoners
Learn how to maximize the champions potential
Only use this if your adc goes all in, or if your jungler is ganking. Being on 100% cool down is never good.
Short trade poke. Drop Starcall as you walk forward, auto, and gtfo. Ideally Starcall won't land until after the auto does so you can retreat with more HP than you started with. Having Font of Life ready when you drop Starcall causes you to heal twice. Once from Starcall and again from Font of Life . Not your optimal combo for self healing tho.
Short trade poking for champs who are ability reliant for damage. Try to have Font of Life ready when going in to make the most of the rune as it's easiest to avoid damage (and therefore maximize your self healing) when you don't have to worry about the enemy Morgana flash stun combing you.
Emergency team heal. If you have to use this strap yourself in for a tough game. Expect teamfights to be 100% reliant on what you're doing, where you're standing, your movement patterns... It's ivy league professor intellect time.
Burst damage combo. Use this if you have kill potential, or you/adc get dove on. Despite what your team has to say a kill for soraka is ALWAYS better than a kill for your enemies.
Soraka Matchups & Counters
Detailed information on how to play matchups and counters
Hold your silence for her Bullet Time , avoid standing in the minion wave. Focus her first if she has a tanky support. Ignore her and target the enemy support if they're squishy.
Minions are trash.
Killing minions is fun, until someone takes an arrow to the knee. Then it's just another reason why good supports don't need money. I like my knees thank you.
Cs, creep score, minion kills... Whatever else you might call getting gold from pve aspects of the game aren't talked about much in the support community. People tend to focus on x stats for y gold efficiency, or how much a high rank account costs because that's cheaper than items in game... So let's talk Relic Shield .
Right off rip I'm going to throw out a hot take. Don't think of it as a quest. It's an optional minigame at best.
If you've read the cliff notes in the item section you'll know it grants bonus gold and a bit of healing on killing a minion provided it has a charge. So when should we be using this passive and when should we ignore it?
For obvious reasons we don't step forward for it when we don't have a minion wave of our own, or proper zone control. We also want to avoid using it if we're full HP, unless our adc is about to miss a cannon minion.
Mainly we want to use this on cannons, when we are close to 75% HP, but if you're low and in danger go ahead and get any random minion(s). It might save you, or at least stall for a more potent self heal to come off cooldown.
Early game we can use a few charges to crash wave and get a gold/xp lead but it's not advisable if your adc has decent waveclear.
In the event of facing a tough lane we instead want to hold 2 charges on average at any time. One specifically for cannon minion, and one for desperation self heal. The third try to use to catch any minions our adc will miss. If the enemy builds a large wave or hard pushes to force a dive angle burn all charges and focus on getting the minions back in line. Destroy the wave completely if you have to, it'll motivate the enemy to back up to about mid point of lane which gives you time to consider your resources and back if needed. Never stay if you feel you can't trade 1 for 1 or better.
If you get a massive lead, maybe a few early kills under your belt burn a charge on every cannon to maintain your lead ignoring all other minions
Most of the time this won't be the case, and you actually want to be two levels down on your adc because of xp loss due to warding runs. (Don't worry even tho this puts you a level down on the enemy your adc should be a level up on them due to solo xp and denying the enemy of their farm so you're winning lane.)
My latest soraka game looks like
11K damage
29K healing
8k damage taken per death
60% kill participation
19 seconds of cc applied to enemies
**Here the text breaks off for records of molecules:**
+++
# C3H2I2N2O

C3H2I2N2O as an isolated structure (ωB97M-V/def2-TZVPD, the Open Molecules 2025 dataset).

Results
HOMO-LUMO gap ... 9.22 eV
F_max ... 0.080 hartree/bohr
LUMO level ... -0.541 eV
ΔE to the lowest compared entry with this formula, charge and spin ... 228.8 kJ/mol
2S+1 ... 1

Structure (XYZ):
```
10
Properties=species:S:1:pos:R:3:forces:R:3:nbo_charge:R:1
C 1.318609 0.247297 -0.038631 0.045 -0.138 -0.499 -0.115
C -0.091894 0.032246 -0.303084 -0.197 0.101 4.122 0.064
C -1.085317 -0.130593 0.915362 1.418 -1.606 -3.227 -0.548
N 1.871889 0.314582 -1.194633 1.534 0.136 -0.013 -0.072
N -0.256299 0.006311 -1.559797 -2.308 -0.461 -0.260 -0.078
O 0.922172 0.154741 -2.093135 0.882 0.316 -2.443 -0.106
I -2.023262 -2.140795 0.781867 0.309 0.980 0.098 0.135
I -2.382921 1.455387 1.085187 -0.386 0.462 0.302 0.250
H 2.057591 0.328044 0.755544 -0.991 -0.044 0.478 0.247
H -0.330565 -0.267218 1.651320 -0.306 0.252 1.442 0.221
```
Forces are in eV/Å.

~~~~~

Entry 1:
C4H7NO | ωB97M-V/def2-TZVPD

Structure (XYZ):
```
13
C4H7NO (ωB97M-V/def2-TZVPD)
N 2.688 -0.226 0.018
C 1.497 -0.424 -0.525
O 0.701 0.663 -0.259
C -0.434 0.016 0.275
C -1.545 -0.379 -0.630
C -1.686 0.789 0.326
H 3.251 -1.058 0.029
H 3.057 0.637 0.423
H -0.173 -0.651 1.092
H -1.406 -0.161 -1.684
H -2.071 -1.307 -0.421
H -2.285 0.677 1.224
H -1.608 1.785 -0.093
```

Output
Frontier orbital gap (eV): 9.635
Multiplicity: 1
Relative energy (zero: lowest compared OMol25 entry of this formula, charge and spin) (kcal/mol): 84.4
HOMO level (eV): -8.510
E_LUMO (eV): 1.1


Entry 2:
C4H7NO | ωB97M-V/def2-TZVPD

Structure (XYZ):
```
13
C4H7NO (ωB97M-V/def2-TZVPD)
C -1.604 0.770 -0.147
N -0.544 0.116 0.071
C -0.559 -1.332 0.108
C 1.987 0.239 0.121
C 0.961 1.083 -0.077
O 0.646 2.205 -0.388
H -1.584 -1.699 -0.008
H -1.543 1.853 -0.132
H -2.540 0.272 -0.387
H 0.089 -1.718 -0.681
H -0.174 -1.654 1.078
H 1.891 -0.733 0.580
H 2.974 0.598 -0.139
```

Output
Frontier orbital gap (eV): 8.086
Multiplicity: 1
Relative energy (zero: lowest compared OMol25 entry of this formula, charge and spin) (kcal/mol): 64.7
HOMO level (eV): -7.780
E_LUMO (eV): 0.3


Entry 3:
C4H7NO | ωB97M-V/def2-TZVPD

Structure (XYZ):
```
13
C4H7NO (ωB97M-V/def2-TZVPD)
C -0.325 0.132 1.742
C -0.923 -0.825 0.892
C 0.008 -0.985 -0.100
N 1.134 -0.248 0.147
C 0.908 0.505 1.278
H -0.825 0.524 2.628
H -1.864 -1.368 0.806
H -0.095 -1.562 -1.019
H 1.897 -0.036 -0.501
H 1.668 1.198 1.638
O -0.613 1.118 -2.822
H -0.747 1.334 -1.871
H -0.224 0.214 -2.818
```

Output
Frontier orbital gap (eV): 9.371
Multiplicity: 1
Relative energy (zero: lowest compared OMol25 entry of this formula, charge and spin) (kcal/mol): 25.3
SMILES string: c1cc[nH]c1.O
HOMO level (eV): -8.608
E_LUMO (eV): 0.8


Entry 4:
C4H7NO | ωB97M-V/def2-TZVPD

Structure (XYZ):
```
13
C4H7NO (ωB97M-V/def2-TZVPD)
N -1.251 -0.164 0.756
C -0.548 -1.024 -0.192
C 0.501 -0.130 -0.841
C 1.327 0.615 0.241
C 0.170 1.256 -0.449
O -0.388 2.280 -0.719
H -0.796 -0.074 1.653
H -2.243 -0.309 0.842
+++
**Here the text continues:**
Kda 4/1/14
This was done on 12k gold. (We lost, but still and good example of how much can be done with no budget)
Early game
Starcall into the lanebush closest the enemy t2 turret to draw out any cheesers and get it warded asap. From my experience your adc is probably waiting in your lanebush waiting to cheese/ward anyway so it's a good moment to test your player synergy. It's ok to trade some hp to ensure the ward goes untargetable as this is the only time we make sure there's a ward in this bush, for the rest of the game it's up to you to track the bush mentally or the adc to ward it.
From here it's your job to try pushing the enemy off the minions (unless it's a tough lane). We want to push as many waves under the enemy turret as we can, making sure to back (at least to your turret) the instant the enemy jungler stops being visible on the map. We repeat this until either we clear turret or our adc is a level up on the enemy. (Yes I've had several games where we take turret super early, and games where adc got ahead while I was on vision runs. These small pockets of solo xp add up quickly).
You call the shots in bot lane, ping for enemy missing, ping for your jungle to gank, ping enemy vision if you can't destroy it, ping for dragons, ping for your adc who just flash dove turret with 0 HP knowing full well master yi was coming for that booty because you did your job and pinged danger when yi left mid heading bot.
If a fight breaks out in river go, but don't step into enemy jungle. Your squishy behind doesn't belong there.
Once we're ahead we can slow down the pace a bit. If their turret is still up then continue to punish the enemy for stepping up to cs, and play for vision near the dragon pit and the entrance into enemy jungle that's between pit and bot lane. It's worth standing near the wall and dropping a ward over into their blue buff instead of warding pit if the enemy team is ap heavy. It can also be worth to ward the dead area to the bottom side of the opponents jungle entry from river and pop the vision plant if the enemy jungler is camping bot lane or suspiciously absent from map.
We save our Wish for people currently in our lane. If your top laner, midlaner, or jungle are getting shat on elsewhere on the map it's not your problem. Don't waste your longest cooldown trying to save a doomed engage elsewhere or to try padding out your assist rate.
Early v tough lane
If the enemy picks champions that are tough to deal with, or your player synergy is lacking any sense of the word synergy we want to play closer to turret. There's a gap in the jungle wall where tri bush sits, minions are not allowed past this point as they'll be in turret range, which puts you in danger of being dove. You don't step out of turret range without a friendly gank incoming or guaranteed kill/assist. Focus zoning the enemy off the minions. It's best to use Starcall if the enemy steps near/inside their minions so you can help prime them for your adc, or your Relic Shield while still getting poke in while we wait for our jungle to help. If survival is extremely difficult consider taking a second point of Astral Infusion at level 4 then maxing Equinox as usual.
Ping your adc to get vision in the lanebush closest to your t2 tower.
Instead of warding pit and jng entrance we instead ward our red and drop a ward over wall from the back side of pit. This will give us vision of dragon without leaving us open to the enemy jungler collapsing on us.
Mid game
Enemy botlane t2 tower is down (or yours is) and you've made it to mid game. Typically this is the point where everyone arams mid. Here were going to change our play style yet again to avoid being overly predictable.
Now instead of being the front line for your adc you want to hover kinda between the back line and the front liners, unless the enemy is hyper mobile. If they are then hover behind the adc staying out of vision until an opportunity to collapse presents itself. A surprise silence/root into a full heal can be as demoralizing as seeing a Katerina pop over the wall for a pentakill just as baron spawns.
As a support it continues to be your job to get objective vision. I find it best to wait for ult to be up before going to ward, that way you can still be there for the team despite not physically being at the start of the fight. Do not blow Wish if one or two of your team gets caught out of position, save it for when the majority of your team needs a heal, their HP bars can conveniently be seen at the top left of your screen.
Remember tho, you're not just a heal bot. If you're not getting vision you should be constantly stepping up for poke everytime an enemy walks too far up. Try to use Equinox when it has the most potential to root, or cause general chaos for the enemy. It can even stop Bullet Time mid channel. The less you allow the enemy to use their kit the better.
By now you should have your Harmonic Echo and at least be started on Awakened Soulstealer so to make the most out of Astral Infusion wait for Harmonic Echo to be fully charged, land Starcall , and while you're healing from Starcall cast Astral Infusion . This will make Astral Infusion cost less HP to cast, as well as proc Harmonic Echo for extra healing that applies to your original target and up to 3 of their closest allies prioritizing lower hp values... And you can be one of these 3 extra targets.
Q: How is the healing so high?
A: it scales with ap, as does the bonus healing from most of our items.
Q: Why are we maxing Equinox first?
A: a lot of champions rely heavily on casting abilities, all champions like to move. Maxing Equinox means we can take these things away more often.
Q: looks like a healbot, Where's the damage at?
A: Riftmaker adds 3-9% increase to damage, and that additional damage becomes true damage at max stacks (something we try to maintain indefinitely). True damage adds up quickly with consistent poke. Scorch also pulls it's weight here. Remember our champion isn't meant to do damage, so for it's class 11K damage is huge when compared to an adc's 22k damage. (Numbers pulled from one of my own matches)
Late game
This is your time to shine, and sadly the part we all find boring about playing an enchanter. You'll still be looking for cheeky Equinox 's but it's time to stand back and let your meat shields, I mean team, tank the damage while you focus on healing them up. Minimap awareness is vital here more than ever as elder dragon and baron spawn. You want to drop a ward over wall behind pit (or in enemy jungle routes depending on which side of the map your on/which obj is coming up) and toss an auto to pop the blastcone from relative safety. You'll be the last to show in a team fight to ensure any enemy dashes are down before you go in or you're going to be focused down instantly.